**Excerpt**
____________
# 1
Here is a molecular structure, C16H11BrCl2N3O5SSe4Tl at a distorted geometry from OMol25. Energies are from ωB97M-V with the def2-TZVPD basis set.

```
! RIJCOSX wB97M-V def2-TZVPD def2/J DEFGRID3
* xyz -2 1
Tl -3.07 0.38 2.19
Br 8.41 -1.93 -5.99
Se -5.31 0.27 5.31
Se -3.88 -1.96 3.68
Se -5.79 -2.69 4.43
Se -7.09 -0.67 3.93
Cl -7.44 4.52 7.28
Cl -5.61 3.05 9.14
S -3.09 2.31 4.56
O -3.30 2.59 5.94
O -1.87 1.62 4.28
O -3.54 3.29 3.61
O -1.04 -1.02 1.09
O -4.26 0.96 4.14
N 2.96 -2.31 -3.25
N -0.90 1.32 -0.68
N 2.37 -1.22 -3.16
C -0.29 0.10 -0.93
C 5.13 -3.36 -3.84
C -0.45 -1.03 -0.02
C 5.86 -1.05 -5.18
C 0.18 -2.26 -0.53
C 4.25 -2.22 -3.83
C 0.62 0.08 -2.06
C -0.09 2.30 -2.71
C 6.44 -3.22 -4.42
C 4.70 -1.02 -4.44
C 1.27 -1.17 -2.33
C 0.89 -2.38 -1.68
C 6.76 -2.15 -5.21
C -0.95 2.26 -1.57
C -5.77 4.19 7.78
C 0.69 1.18 -2.90
H 4.10 -0.15 -4.23
H 1.33 -3.34 -2.03
H -0.09 3.23 -3.26
H -5.12 3.82 6.90
H -1.56 3.14 -1.24
H 4.85 -4.30 -3.39
H 0.21 -3.12 0.11
H 6.22 -0.09 -5.69
H -5.29 5.11 8.06
H 7.19 -4.03 -4.17
H 1.37 0.98 -3.70
*
```

Output
HOMO energy: -1.7 eV
ΔE to the lowest compared entry with this formula, charge and spin: 12.04 kcal per mole
Orbital gap: 4.9 eV
Maximum force: 3.2 eV Å⁻¹

Results of the natural (NBO) charge analysis, in e, for atoms 1 through 2: 0.766 0.041

***

# 2
Here is a molecular structure, C16H12BrInN3O7 at a distorted geometry from OMol25. Energies are from ωB97M-V with the def2-TZVPD basis set.

```
! RIJCOSX wB97M-V def2-TZVPD def2/J DEFGRID3
* xyz -1 1
In 0.23 0.41 -1.96
Br -1.60 1.78 -2.94
O -2.83 1.84 0.62
O -3.61 -3.15 4.16
O -4.45 0.96 1.77
O 0.55 -1.67 -1.37
O 1.42 -2.65 0.40
O -1.13 0.29 -0.39
O -1.88 -4.38 3.61
N -2.60 -3.37 3.46
N 0.48 -2.02 -0.12
N -3.34 0.87 1.20
C 2.87 0.29 -2.53
C -1.53 -0.65 0.37
C 0.59 1.14 2.11
C 1.91 2.12 -3.56
C -3.04 -1.32 2.19
C 1.86 0.65 1.69
C 1.29 0.95 -4.11
C -2.24 -2.44 2.43
C 0.17 2.15 1.20
C -0.76 -1.85 0.58
C 1.88 -0.20 -3.44
C 2.26 1.40 0.54
C 2.87 1.71 -2.60
C -1.09 -2.68 1.66
C 1.21 2.30 0.21
C -2.64 -0.41 1.23
H -0.77 2.70 1.23
H -3.90 -1.10 2.81
H 3.58 2.37 -2.11
H 3.62 -0.32 -2.02
H 1.20 3.02 -0.62
H 3.22 1.33 0.03
H 0.66 0.91 -4.99
H 1.75 3.14 -3.90
H 2.41 -0.17 2.15
H 1.77 -1.23 -3.78
H 0.03 0.80 2.97
H -0.45 -3.53 1.86
*
```

Output
HOMO energy: -3.9 eV
ΔE to the lowest compared entry with this formula, charge and spin: 0.00 kcal per mole
Orbital gap: 4.2 eV
Maximum force: 3.1 eV Å⁻¹

Results of the natural (NBO) charge analysis, in e, for atoms 1 through 2: 1.594 -0.521

***

# 3
Here is a molecular structure, C16H12Cl3N2OS6SiTa at a distorted geometry from OMol25. Energies are from ωB97M-V with the def2-TZVPD basis set.

```
! RIJCOSX wB97M-V def2-TZVPD def2/J DEFGRID3
* xyz 0 1
Ta 0.93 0.31 -0.31
Cl 1.75 3.24 1.85
Cl 2.42 0.06 1.78
Cl 0.15 1.14 3.85
S 0.11 0.56 -2.63
S 3.94 2.20 -3.80
S 1.61 1.01 -5.17
S 2.73 1.84 -1.08
S -0.43 -1.56 0.47
S 2.36 -1.51 -1.12
Si 0.75 1.49 1.96
O 3.75 1.90 -6.41
N 0.21 4.31 -1.70
N -1.75 0.97 -0.38
C 1.12 -5.16 1.24
C -2.57 1.07 0.76
C 2.69 -4.03 -0.17
C 0.67 -2.91 0.52
C 0.30 -4.05 1.23
C -3.39 0.02 1.15
C -0.01 3.39 -1.03
C -4.14 1.28 3.04
C -4.16 0.12 2.28
C -2.55 2.24 1.52
C 1.54 1.11 -3.42
C 2.32 -5.15 0.53
C 3.22 1.74 -5.35
C 2.61 1.64 -2.79
C 1.89 -2.89 -0.18
C -3.33 2.34 2.65
H 0.83 -6.04 1.80
H -3.32 3.25 3.23
H 2.95 -6.02 0.54
H -0.64 -4.04 1.75
H -4.79 -0.71 2.58
H -1.93 3.07 1.22
H -4.75 1.36 3.93
H -1.61 1.87 -0.83
H -3.39 -0.89 0.56
H 3.61 -4.01 -0.74
H 0.43 5.11 -2.26
H -2.12 0.30 -1.05
*
```

Output
HOMO energy: -7.8 eV
Orbital gap: 6.1 eV
Maximum force: 2.4 eV Å⁻¹

Results of the Mulliken charge analysis, in e, for atoms 1 through 2: 0.623 -0.225

***

# 4
Here is a molecular structure, C16H12CrIN5O2 from OMol25. Energies are from ωB97M-V with the def2-TZVPD basis set.

```
! RIJCOSX wB97M-V def2-TZVPD def2/J DEFGRID3
* xyz 0 5
I -0.25 1.25 -2.07
Cr 0.21 0.24 0.34
O 4.97 -2.78 0.88
O -0.14 -1.61 0.16
N 0.11 0.64 4.68
N -0.15 -1.17 6.36
N 2.08 -0.08 0.01
N 0.95 -4.99 0.21
N 0.18 0.45 2.26
____________
**Job**
Set down the listing earlier on character by character.
**Response**
# 1
Here is a molecular structure, C16H11BrCl2N3O5SSe4Tl at a distorted geometry from OMol25. Energies are from ωB97M-V with the def2-TZVPD basis set.

```
! RIJCOSX wB97M-V def2-TZVPD def2/J DEFGRID3
* xyz -2 1
Tl -3.07 0.38 2.19
Br 8.41 -1.93 -5.99
Se -5.31 0.27 5.31
Se -3.88 -1.96 3.68
Se -5.79 -2.69 4.43
Se -7.09 -0.67 3.93
Cl -7.44 4.52 7.28
Cl -5.61 3.05 9.14
S -3.09 2.31 4.56
O -3.30 2.59 5.94
O -1.87 1.62 4.28
O -3.54 3.29 3.61
O -1.04 -1.02 1.09
O -4.26 0.96 4.14
N 2.96 -2.31 -3.25
N -0.90 1.32 -0.68
N 2.37 -1.22 -3.16
C -0.29 0.10 -0.93
C 5.13 -3.36 -3.84
C -0.45 -1.03 -0.02
C 5.86 -1.05 -5.18
C 0.18 -2.26 -0.53
C 4.25 -2.22 -3.83
C 0.62 0.08 -2.06
C -0.09 2.30 -2.71
C 6.44 -3.22 -4.42
C 4.70 -1.02 -4.44
C 1.27 -1.17 -2.33
C 0.89 -2.38 -1.68
C 6.76 -2.15 -5.21
C -0.95 2.26 -1.57
C -5.77 4.19 7.78
C 0.69 1.18 -2.90
H 4.10 -0.15 -4.23
H 1.33 -3.34 -2.03
H -0.09 3.23 -3.26
H -5.12 3.82 6.90
H -1.56 3.14 -1.24
H 4.85 -4.30 -3.39
H 0.21 -3.12 0.11
H 6.22 -0.09 -5.69
H -5.29 5.11 8.06
H 7.19 -4.03 -4.17
H 1.37 0.98 -3.70
*
```

Output
HOMO energy: -1.7 eV
ΔE to the lowest compared entry with this formula, charge and spin: 12.04 kcal per mole
Orbital gap: 4.9 eV
Maximum force: 3.2 eV Å⁻¹

Results of the natural (NBO) charge analysis, in e, for atoms 1 through 2: 0.766 0.041

***

# 2
Here is a molecular structure, C16H12BrInN3O7 at a distorted geometry from OMol25. Energies are from ωB97M-V with the def2-TZVPD basis set.

```
! RIJCOSX wB97M-V def2-TZVPD def2/J DEFGRID3
* xyz -1 1
In 0.23 0.41 -1.96
Br -1.60 1.78 -2.94
O -2.83 1.84 0.62
O -3.61 -3.15 4.16
O -4.45 0.96 1.77
O 0.55 -1.67 -1.37
O 1.42 -2.65 0.40
O -1.13 0.29 -0.39
O -1.88 -4.38 3.61
N -2.60 -3.37 3.46
N 0.48 -2.02 -0.12
N -3.34 0.87 1.20
C 2.87 0.29 -2.53
C -1.53 -0.65 0.37
C 0.59 1.14 2.11
C 1.91 2.12 -3.56
C -3.04 -1.32 2.19
C 1.86 0.65 1.69
C 1.29 0.95 -4.11
C -2.24 -2.44 2.43
C 0.17 2.15 1.20
C -0.76 -1.85 0.58
C 1.88 -0.20 -3.44
C 2.26 1.40 0.54
C 2.87 1.71 -2.60
C -1.09 -2.68 1.66
C 1.21 2.30 0.21
C -2.64 -0.41 1.23
H -0.77 2.70 1.23
H -3.90 -1.10 2.81
H 3.58 2.37 -2.11
H 3.62 -0.32 -2.02
H 1.20 3.02 -0.62
H 3.22 1.33 0.03
H 0.66 0.91 -4.99
H 1.75 3.14 -3.90
H 2.41 -0.17 2.15
H 1.77 -1.23 -3.78
H 0.03 0.80 2.97
H -0.45 -3.53 1.86
*
```

Output
HOMO energy: -3.9 eV
ΔE to the lowest compared entry with this formula, charge and spin: 0.00 kcal per mole
Orbital gap: 4.2 eV
Maximum force: 3.1 eV Å⁻¹

Results of the natural (NBO) charge analysis, in e, for atoms 1 through 2: 1.594 -0.521

***

# 3
Here is a molecular structure, C16H12Cl3N2OS6SiTa at a distorted geometry from OMol25. Energies are from ωB97M-V with the def2-TZVPD basis set.

```
! RIJCOSX wB97M-V def2-TZVPD def2/J DEFGRID3
* xyz 0 1
Ta 0.93 0.31 -0.31
Cl 1.75 3.24 1.85
Cl 2.42 0.06 1.78
Cl 0.15 1.14 3.85
S 0.11 0.56 -2.63
S 3.94 2.20 -3.80
S 1.61 1.01 -5.17
S 2.73 1.84 -1.08
S -0.43 -1.56 0.47
S 2.36 -1.51 -1.12
Si 0.75 1.49 1.96
O 3.75 1.90 -6.41
N 0.21 4.31 -1.70
N -1.75 0.97 -0.38
C 1.12 -5.16 1.24
C -2.57 1.07 0.76
C 2.69 -4.03 -0.17
C 0.67 -2.91 0.52
C 0.30 -4.05 1.23
C -3.39 0.02 1.15
C -0.01 3.39 -1.03
C -4.14 1.28 3.04
C -4.16 0.12 2.28
C -2.55 2.24 1.52
C 1.54 1.11 -3.42
C 2.32 -5.15 0.53
C 3.22 1.74 -5.35
C 2.61 1.64 -2.79
C 1.89 -2.89 -0.18
C -3.33 2.34 2.65
H 0.83 -6.04 1.80
H -3.32 3.25 3.23
H 2.95 -6.02 0.54
H -0.64 -4.04 1.75
H -4.79 -0.71 2.58
H -1.93 3.07 1.22
H -4.75 1.36 3.93
H -1.61 1.87 -0.83
H -3.39 -0.89 0.56
H 3.61 -4.01 -0.74
H 0.43 5.11 -2.26
H -2.12 0.30 -1.05
*
```

Output
HOMO energy: -7.8 eV
Orbital gap: 6.1 eV
Maximum force: 2.4 eV Å⁻¹

Results of the Mulliken charge analysis, in e, for atoms 1 through 2: 0.623 -0.225

***

# 4
Here is a molecular structure, C16H12CrIN5O2 from OMol25. Energies are from ωB97M-V with the def2-TZVPD basis set.

```
! RIJCOSX wB97M-V def2-TZVPD def2/J DEFGRID3
* xyz 0 5
I -0.25 1.25 -2.07
Cr 0.21 0.24 0.34
O 4.97 -2.78 0.88
O -0.14 -1.61 0.16
N 0.11 0.64 4.68
N -0.15 -1.17 6.36
N 2.08 -0.08 0.01
N 0.95 -4.99 0.21
N 0.18 0.45 2.26